(Brief)
Now restate the entries further below from the first line to the one with "0.669" character by character.

(Entries)
'''
Computed, not measured: an optimized crystal structure of MgSi2 at the PBE level of DFT.

POSCAR file:
```
MgSi2
1.0
5.741 0.000 0.000
1.426 7.475 0.000
1.422 0.251 9.867
Mg Si
8 16
direct
0.003 0.191 0.267
0.229 0.547 0.194
0.286 0.928 0.462
0.365 0.441 0.636
0.635 0.559 0.364
0.714 0.072 0.538
0.771 0.453 0.806
0.997 0.809 0.733
0.002 0.337 0.516
0.115 0.136 0.712
0.139 0.889 0.064
0.205 0.269 0.999
0.225 0.577 0.910
0.398 0.272 0.382
0.475 0.825 0.853
0.493 0.144 0.809
0.507 0.856 0.191
0.525 0.175 0.147
0.602 0.728 0.618
0.775 0.423 0.090
0.795 0.731 0.001
0.861 0.111 0.936
0.885 0.864 0.288
0.998 0.663 0.484
```

Summary:
raw total energy: -12.0 eV/f.u.
mass density: 2.5 g cm⁻³
volume: 17.64 Å³/atom
formation energy: 0.211 eV per atom
spin magnetization: 0.00 μB/cell
energy relative to the lowest polymorph listed for this composition: 133 meV per atom

* * * * *

# 1
AlI3N5 | PBE | optimized geometry

## Properties
- Uncorrected energy: -4.01 eV per atom
- ΔE_f: 1.343 eV per atom
- Polymorph energy (0 for the lowest one): 165 meV per atom
- Mass density: 6.00 g cm⁻³
- Magnetization: 0.0 μB per formula unit

abc: 5.784 5.784 7.990
angles: 90.00 90.00 81.64
Positions (direct):
N 0.566 0.144 0.250
N 0.212 0.212 0.493
N 0.212 0.212 0.007
N 0.788 0.788 0.507
N 0.434 0.856 0.750
N 0.788 0.788 0.993
N 0.144 0.566 0.250
N 0.856 0.434 0.750
N 0.988 0.988 0.750
N 0.012 0.012 0.250
I 0.783 0.783 0.250
I 0.217 0.217 0.750
I 0.730 0.270 0.000
I 0.270 0.730 0.000
I 0.730 0.270 0.500
I 0.270 0.730 0.500
Al 0.770 0.770 0.750
Al 0.230 0.230 0.250

---

# 2
Tb2Zr2O7 | PBE | optimized geometry

## Properties
- Uncorrected energy: -8.93 eV per atom
- ΔE_f: -3.820 eV per atom
- Mass density: 5.93 g cm⁻³
- Magnetization: 0.0 μB per formula unit

abc: 7.351 7.351 12.686
angles: 90.00 90.00 90.00
Positions (direct):
O 0.349 0.349 0.500
O 0.585 0.173 0.676
O 0.093 0.931 0.085
O 0.344 0.138 0.295
O 0.085 0.327 0.074
O 0.407 0.431 0.165
O 0.673 0.915 0.426
O 0.844 0.362 0.455
O 0.915 0.673 0.574
O 0.827 0.415 0.824
O 0.569 0.593 0.335
O 0.849 0.151 0.250
O 0.156 0.638 0.955
O 0.069 0.907 0.415
O 0.651 0.651 0.000
O 0.862 0.656 0.205
O 0.907 0.069 0.585
O 0.593 0.569 0.665
O 0.931 0.093 0.915
O 0.362 0.844 0.545
O 0.138 0.344 0.705
O 0.656 0.862 0.795
O 0.151 0.849 0.750
O 0.431 0.407 0.835
O 0.415 0.827 0.176
O 0.327 0.085 0.926
O 0.173 0.585 0.324
O 0.638 0.156 0.045
Zr 0.370 0.400 0.345
Zr 0.630 0.600 0.845
Zr 0.400 0.370 0.655
Zr 0.900 0.130 0.095
Zr 0.100 0.870 0.595
Zr 0.600 0.630 0.155
Zr 0.130 0.900 0.905
Zr 0.870 0.100 0.405
Tb 0.138 0.627 0.135
Tb 0.362 0.127 0.115
Tb 0.862 0.373 0.635
Tb 0.873 0.638 0.385
Tb 0.638 0.873 0.615
Tb 0.373 0.862 0.365
Tb 0.127 0.362 0.885
Tb 0.627 0.138 0.865

---

# 3
LiAc2Pb | PBE | optimized geometry

## Properties
- Uncorrected energy: -3.73 eV per atom
- ΔE_f: -0.266 eV per atom
- Mass density: 7.94 g cm⁻³

abc: 5.825 5.825 5.825
angles: 60.00 60.00 60.00
Positions (direct):
Ac 0.250 0.250 0.250
Ac 0.750 0.750 0.750
Pb 0.000 0.000 0.000
Li 0.500 0.500 0.500

---

# 4
Na5LuH4C4O14 | PBE | optimized geometry

## Properties
- Uncorrected energy: -6.43 eV per atom
- ΔE_f: -2.100 eV per atom
- Mass density: 2.76 g cm⁻³
- Magnetization: 0.0 μB per formula unit

abc: 7.646 7.646 11.670
angles: 90.00 90.00 90.00
Positions (direct):
O 0.093 0.823 0.854
O 0.408 0.273 0.118
O 0.273 0.592 0.882
O 0.836 0.251 0.033
O 0.592 0.727 0.118
O 0.727 0.408 0.882
O 0.336 0.249 0.467
O 0.751 0.336 0.533
O 0.823 0.907 0.146
O 0.907 0.177 0.854
O 0.773 0.908 0.618
O 0.164 0.749 0.033
O 0.749 0.836 0.967
O 0.500 0.000 0.331
O 0.092 0.773 0.382
O 0.908 0.227 0.382
O 0.177 0.093 0.146
O 0.500 0.000 0.831
O 0.593 0.677 0.646
O 0.664 0.751 0.467
O 0.251 0.164 0.967
O 0.000 0.500 0.669
O 0.407 0.323 0.646
O 0.249 0.664 0.533
O 0.000 0.500 0.169
O 0.677 0.407 0.354
O 0.323 0.593 0.354
O 0.227 0.092 0.618
H 0.579 0.935 0.883
H 0.065 0.579 0.117
H 0.935 0.421 0.117
H 0.565 0.921 0.383
H 0.079 0.565 0.617
H 0.421 0.065 0.883
'''

(Solution)
Computed, not measured: an optimized crystal structure of MgSi2 at the PBE level of DFT.

POSCAR file:
```
MgSi2
1.0
5.741 0.000 0.000
1.426 7.475 0.000
1.422 0.251 9.867
Mg Si
8 16
direct
0.003 0.191 0.267
0.229 0.547 0.194
0.286 0.928 0.462
0.365 0.441 0.636
0.635 0.559 0.364
0.714 0.072 0.538
0.771 0.453 0.806
0.997 0.809 0.733
0.002 0.337 0.516
0.115 0.136 0.712
0.139 0.889 0.064
0.205 0.269 0.999
0.225 0.577 0.910
0.398 0.272 0.382
0.475 0.825 0.853
0.493 0.144 0.809
0.507 0.856 0.191
0.525 0.175 0.147
0.602 0.728 0.618
0.775 0.423 0.090
0.795 0.731 0.001
0.861 0.111 0.936
0.885 0.864 0.288
0.998 0.663 0.484
```

Summary:
raw total energy: -12.0 eV/f.u.
mass density: 2.5 g cm⁻³
volume: 17.64 Å³/atom
formation energy: 0.211 eV per atom
spin magnetization: 0.00 μB/cell
energy relative to the lowest polymorph listed for this composition: 133 meV per atom

* * * * *

# 1
AlI3N5 | PBE | optimized geometry

## Properties
- Uncorrected energy: -4.01 eV per atom
- ΔE_f: 1.343 eV per atom
- Polymorph energy (0 for the lowest one): 165 meV per atom
- Mass density: 6.00 g cm⁻³
- Magnetization: 0.0 μB per formula unit

abc: 5.784 5.784 7.990
angles: 90.00 90.00 81.64
Positions (direct):
N 0.566 0.144 0.250
N 0.212 0.212 0.493
N 0.212 0.212 0.007
N 0.788 0.788 0.507
N 0.434 0.856 0.750
N 0.788 0.788 0.993
N 0.144 0.566 0.250
N 0.856 0.434 0.750
N 0.988 0.988 0.750
N 0.012 0.012 0.250
I 0.783 0.783 0.250
I 0.217 0.217 0.750
I 0.730 0.270 0.000
I 0.270 0.730 0.000
I 0.730 0.270 0.500
I 0.270 0.730 0.500
Al 0.770 0.770 0.750
Al 0.230 0.230 0.250

---

# 2
Tb2Zr2O7 | PBE | optimized geometry

## Properties
- Uncorrected energy: -8.93 eV per atom
- ΔE_f: -3.820 eV per atom
- Mass density: 5.93 g cm⁻³
- Magnetization: 0.0 μB per formula unit

abc: 7.351 7.351 12.686
angles: 90.00 90.00 90.00
Positions (direct):
O 0.349 0.349 0.500
O 0.585 0.173 0.676
O 0.093 0.931 0.085
O 0.344 0.138 0.295
O 0.085 0.327 0.074
O 0.407 0.431 0.165
O 0.673 0.915 0.426
O 0.844 0.362 0.455
O 0.915 0.673 0.574
O 0.827 0.415 0.824
O 0.569 0.593 0.335
O 0.849 0.151 0.250
O 0.156 0.638 0.955
O 0.069 0.907 0.415
O 0.651 0.651 0.000
O 0.862 0.656 0.205
O 0.907 0.069 0.585
O 0.593 0.569 0.665
O 0.931 0.093 0.915
O 0.362 0.844 0.545
O 0.138 0.344 0.705
O 0.656 0.862 0.795
O 0.151 0.849 0.750
O 0.431 0.407 0.835
O 0.415 0.827 0.176
O 0.327 0.085 0.926
O 0.173 0.585 0.324
O 0.638 0.156 0.045
Zr 0.370 0.400 0.345
Zr 0.630 0.600 0.845
Zr 0.400 0.370 0.655
Zr 0.900 0.130 0.095
Zr 0.100 0.870 0.595
Zr 0.600 0.630 0.155
Zr 0.130 0.900 0.905
Zr 0.870 0.100 0.405
Tb 0.138 0.627 0.135
Tb 0.362 0.127 0.115
Tb 0.862 0.373 0.635
Tb 0.873 0.638 0.385
Tb 0.638 0.873 0.615
Tb 0.373 0.862 0.365
Tb 0.127 0.362 0.885
Tb 0.627 0.138 0.865

---

# 3
LiAc2Pb | PBE | optimized geometry

## Properties
- Uncorrected energy: -3.73 eV per atom
- ΔE_f: -0.266 eV per atom
- Mass density: 7.94 g cm⁻³

abc: 5.825 5.825 5.825
angles: 60.00 60.00 60.00
Positions (direct):
Ac 0.250 0.250 0.250
Ac 0.750 0.750 0.750
Pb 0.000 0.000 0.000
Li 0.500 0.500 0.500

---

# 4
Na5LuH4C4O14 | PBE | optimized geometry

## Properties
- Uncorrected energy: -6.43 eV per atom
- ΔE_f: -2.100 eV per atom
- Mass density: 2.76 g cm⁻³
- Magnetization: 0.0 μB per formula unit

abc: 7.646 7.646 11.670
angles: 90.00 90.00 90.00
Positions (direct):
O 0.093 0.823 0.854
O 0.408 0.273 0.118
O 0.273 0.592 0.882
O 0.836 0.251 0.033
O 0.592 0.727 0.118
O 0.727 0.408 0.882
O 0.336 0.249 0.467
O 0.751 0.336 0.533
O 0.823 0.907 0.146
O 0.907 0.177 0.854
O 0.773 0.908 0.618
O 0.164 0.749 0.033
O 0.749 0.836 0.967
O 0.500 0.000 0.331
O 0.092 0.773 0.382
O 0.908 0.227 0.382
O 0.177 0.093 0.146
O 0.500 0.000 0.831
O 0.593 0.677 0.646
O 0.664 0.751 0.467
O 0.251 0.164 0.967
O 0.000 0.500 0.669